HMT Pink Wallpaper+ 2.8.02 APK

New BETA Feature: Super Duper does not have tobe the "default SMS app"
Now Android KitKat compatible! Using Super Duper Messaging Manager

*Hide text messages/SMS messages for Unlimited contacts
*Hide call logs for unlimited contacts
*Block text messages/SMS and Block calls
*Decoy Icon, with 2 other Pink Wallpaper decoy icon choices
*Change Status bar icon and descriptions
*Requires a password to get into the app for privacy
*You MUST read directions at download!!!!
*Export messages to secured location
*Choose your own text message thread colors
*Pink Wallpaper icon, Pink Wallpaper screens and status barnotification
*See failed attempts to get into app in the “Log File”
*Change contacts/password/home screen shortcut anytime
*Looks like a Pink Wallpaper app that has a “SubscriptionError”

Keep your text messages and your call logs private. Block textmessages and calls from anyone! Secure your text messages fromanyone and everyone with a password protected decoy app. And it's aPink theme!!

Hide texts messages for unlimited contacts safely with apassword protected decoy “Pink Wallpaper” app. Once you downloadthis app it will place a “Pink Wallpaper” icon in your app drawer.The app appears to have errors to anyone else that looks at it.Text from selected contacts will be in this app only and will notbe put in your “regular” text messages. Text messages in our appare completely separate and secure. When text messages arereceived, you get a notification in the status bar that says,“Subscription notice,” which goes with the decoy theme of the apphaving a “subscription error.” Only you will know it’s anotification for a text message.

You can switch contacts when needed. Don’t worry - once the numberis deleted or switched it will not put prior hidden text messagesin your “regular” text messaging box. Does not transfer existingtext messages – the two areas are completely separate! Does notsupport MMS…

The hide call log feature allows you to add the contact and allincoming, outgoing and missed calls will be deleted from yourregular call logs. You must place the outgoing call from inside theapp and you have the choice of saving your call logs inside theapp!!!

The Block text messaging feature will allow you to blockincoming text messages. You have the option to save the blockedtext messages so you can read them after you “unblock” the contact.Or we can discard the text messages as they come in. You can stillsend text messages to the contact while they are blocked. We haveadded the “Call Blocker” feature for that contact that is really apain. We also give you the choice to save the call log for theseblocked calls or we can discard them as they come in for you.

It does not remove or change your “regular” text message icon inthe app drawer. This is not a “Pink Wallpaper” application! It is adecoy wallpaper application that allows you to hide or block yourtext messages with password protection.

Aggregated device data, including location, is measured for thepurposes of market research by Placed, Inc.

Inserted here: calculated crystals
Entry 1:
A plane-wave DFT calculation with PBE was carried out for a relaxed RbLiO3 crystal.

Lattice parameters (Å, degrees): 4.1794 4.1794 4.1794 90.00 90.00 90.00
Closest atoms and distances in Å follow each position.
Space group Pm-3m (No. 221)
Unique sites:
Rb (0.0000, 0.0000, 0.0000) [1 per cell]  12 O 2.96
Li (0.5000, 0.5000, 0.5000) [1 per cell]  6 O 2.09
O (0.0000, 0.5000, 0.5000) [3 per cell]  2 Li 2.09

Output
energy with MP2020 corrections	-0.3119	Ry per atom

=====

Entry 2:
A plane-wave DFT calculation with PBE was carried out for a relaxed IF7 crystal.

Lattice parameters (Å, degrees): 9.7880 8.8369 6.8279 90.00 90.00 90.00
Closest atoms and distances in Å follow each position.
Space group Aea2 (No. 41)
Unique sites:
I (0.0000, 0.0000, 0.0000) [4 per cell]  7 F 1.85-1.90
F (0.0000, 0.0000, 0.7213) [4 per cell]  1 I 1.90
F (0.0837, 0.0866, 0.2252) [8 per cell]  1 I 1.90
F (0.1046, 0.3258, 0.4984) [8 per cell]  1 I 1.85
F (0.1606, 0.1020, 0.9160) [8 per cell]  1 I 1.90

Output
offset from the most stable computed form	0.00	eV per formula unit
energy with MP2020 corrections	-0.2615	Ry per atom

=====

Entry 3:
A plane-wave DFT calculation with PBE was carried out for a relaxed TbNdFe14B crystal.

Lattice parameters (Å, degrees): 8.7520 8.7520 12.0669 90.00 90.00 90.00
Closest atoms and distances in Å follow each position.
Space group P4_2/mnm (No. 136)
Unique sites:
Tb (0.1439, 0.1439, 0.0000) [4 per cell]  1 B 2.85, 6 Fe 3.03-3.09
Nd (0.2336, 0.2336, 0.5000) [4 per cell]  16 Fe 3.04-3.22, 2 B 3.29
Fe (0.0000, 0.0000, 0.3857) [4 per cell]  2 B 2.08
Fe (0.0000, 0.5000, 0.0000) [4 per cell]  8 Fe 2.47-2.56
Fe (0.0363, 0.6404, 0.1760) [16 per cell]  10 Fe 2.38-2.63
Fe (0.0679, 0.7243, 0.3729) [16 per cell]  1 B 2.08
Fe (0.0970, 0.9030, 0.2029) [8 per cell]  8 Fe 2.38-2.63
Fe (0.1825, 0.1825, 0.2532) [8 per cell]  12 Fe 2.63-2.78
B (0.1260, 0.8740, 0.5000) [4 per cell]  6 Fe 2.08

=====

Entry 4:
A plane-wave DFT calculation with PBE was carried out for a relaxed UCo10Si2 crystal.

Lattice parameters (Å, degrees): 4.8330 11.3162 11.6387 90.00 90.00 90.00
Closest atoms and distances in Å follow each position.
Space group Fmmm (No. 69)
Unique sites:
U (0.0000, 0.0000, 0.0000) [4 per cell]  16 Co 2.82-3.08, 4 Si 3.15
Co (0.0000, 0.1121, 0.3856) [16 per cell]  2 Si 2.36, 7 Co 2.38-2.61
Co (0.0000, 0.1729, 0.1741) [16 per cell]  2 Si 2.46, 7 Co 2.48-2.61
Co (0.2500, 0.2500, 0.0000) [8 per cell]  10 Co 2.38-2.52
Si (0.2500, 0.0000, 0.2500) [8 per cell]  8 Co 2.36-2.46, 2 Si 2.42

Output
energy with MP2020 corrections	-0.5415	Ry per atom

=====

In order of appearance, VASP energy = -19.16; -100.90; -543.78; -383.66 eV/cell.
In order of appearance, theoretical density = 3.194; 2.923; 7.875; 9.219 g cm⁻³.
In order of appearance, energy relative to the elements = -0.6965; -1.6915; -0.0755; -0.1959 eV/atom.

~~~~~

Record 1
A relaxed MgMnO2 crystal. Source: Materials Project, functional PBE with a Hubbard U.

**ΔE_f**: -2.503 eV/atom
Here the entry continues

Placed, Inc. - Terms of Use:
Placed, Inc. - Privacy Policy:

*Hide SMS messages / block SMS messages from unlimitedcontacts
*Hide incoming/outgoing phone call logs for unlimitedcontacts
*Select from your contact list or put in other contacts
*Choose your own SMS color theme
*Three icon options to put on your home screen
*Change Status bar notifications and descriptions
*Block unwanted text messages from a contact
*Block Calls from a contact
*Ability to select your notifications
*Looks like a pink wallpaper app that requires a subscriptionpassword
*Logs failed attempts to get into the app, just in case you werewondering
*Displays in your “Applications” list as “Pink Wallpaper”

App Information